Back to School with Essential Oils

Back to School with Essential Oils

Back to school is an exciting time of year! Teachers are working hard to make their classrooms an inviting, creative space. Students are stirring with the excitement of meeting friends and learning new things. And parents are prepping the home in anticipation of a new, healthy routine.

Here the page breaks off for materials data:
........
Record 1
12
Lattice="-1.220 -3.572 5.338 5.090 -3.086 -2.115 0.117 5.733 2.649" Properties=species:S:1:pos:R:3 comment="SiGe2Pt3 | the Alexandria database | PBE-GGA | optimized geometry" mass_density_g_cm3=12.5 raw_formation_energy_mev_per_atom=-328 sg="C2/c (15)" volume_a3_per_atom=16.83 pbc="T T T"
Si 1.216 -0.517 4.723
Si 2.771 -0.407 1.149
Pt 2.800 -2.423 5.050
Pt 1.469 -1.869 2.637
Pt 2.545 -1.543 -1.058
Pt 1.187 1.498 0.822
Pt -0.551 1.081 3.994
Pt 2.518 0.945 3.235
Ge -0.468 2.470 6.337
Ge 4.455 -3.394 -0.465
Ge 0.831 3.034 3.008
Ge 3.156 -3.958 2.864



Record 2
5
Lattice="-0.062 2.948 -3.614 2.381 -3.088 -2.559 -4.010 -1.878 -1.464" Properties=species:S:1:pos:R:3 comment="SiGe3Pt | the Alexandria database | PBE-GGA | optimized geometry" relative_energy_mev_per_atom=152 mass_density_g_cm3=7.2 raw_formation_energy_mev_per_atom=728 sg="Pm-3m (221)" volume_a3_per_atom=20.29 pbc="T T T"
Ge -2.005 -0.939 -0.732
Ge -0.031 1.474 -1.807
Ge 1.190 -1.544 -1.280
Pt -0.845 -1.009 -3.819
Si 0.000 0.000 0.000



Record 3
8
Lattice="5.755 0.000 0.000 0.000 5.755 0.000 2.878 2.878 5.350" Properties=species:S:1:pos:R:3 comment="SiGe2Pt | the Alexandria database | PBE-GGA | optimized geometry" mass_density_g_cm3=6.9 raw_formation_energy_mev_per_atom=34 sg="I-42d (122)" volume_a3_per_atom=22.15 pbc="T T T"
Ge 7.194 7.189 4.012
Ge 4.316 4.321 4.012
Ge 1.444 4.316 1.337
Ge 4.312 1.439 1.337
Pt 0.000 0.000 0.000
Pt 5.755 2.878 2.675
Si 2.878 5.755 2.675
Si 2.878 2.878 0.000



Record 4
12
Lattice="5.626 0.000 0.133 0.000 5.627 0.000 -0.146 0.000 6.238" Properties=species:S:1:pos:R:3 comment="SiGePt4 | the Alexandria database | PBE-GGA | optimized geometry" mass_density_g_cm3=14.8 raw_formation_energy_mev_per_atom=-583 sg="P4/mmm (123)" volume_a3_per_atom=16.47 pbc="T T T"
Pt 4.111 1.407 4.707
Pt 1.368 1.407 1.664
Pt 4.181 4.221 1.730
Pt 1.298 4.220 4.640
Pt 4.181 1.407 1.730
Pt 1.298 1.407 4.640
Pt 1.369 4.221 1.664
Pt 4.111 4.221 4.707
Si 2.740 0.000 3.185
Si -0.073 2.814 3.119
Ge 2.813 2.814 0.066
Ge 0.000 0.000 0.000



Record 5
8
Lattice="-2.722 -4.881 -0.460 4.293 -2.627 2.473 -1.474 -2.944 5.789" Properties=species:S:1:pos:R:3 comment="Si2GePt | the Alexandria database | PBE-GGA | optimized geometry" mass_density_g_cm3=6.4 raw_formation_energy_mev_per_atom=-87 sg="I-42d (122)" volume_a3_per_atom=21.03 pbc="T T T"
Pt -1.705 -5.789 3.168
Pt 0.000 0.000 0.000
Si 2.013 -2.918 2.942
Si -1.572 -4.185 1.462
Si 0.330 -8.815 6.138
Si -0.578 -4.986 5.061
Ge 0.785 -3.754 1.006
Ge 1.802 -4.662 4.634



Record 6
10
Lattice="7.540 0.000 0.000 0.000 7.540 0.000 0.000 0.000 2.787" Properties=species:S:1:pos:R:3 comment="Si2GePt2 | the Alexandria database | PBE-GGA | optimized geometry" relative_energy_mev_per_atom=268 mass_density_g_cm3=10.9 raw_formation_energy_mev_per_atom=-191 sg="P4/mbm (127)" volume_a3_per_atom=15.85 pbc="T T T"
Si 2.594 1.176 1.394
Si 4.946 6.364 1.394
Si 1.176 4.946 1.394
Si 6.364 2.594 1.394
Ge 0.000 0.000 0.000
Ge 3.770 3.770 0.000
........

To prepare everyone for an A+ experience that very first day, use essential oils as part of your home or classroom daily routine. 


You’ve poured your heart and soul into creatively planning the best ways to reach your students and teach the material. Still, you may have a secret weapon at your disposal sure to increase attention (and retention): diffusing essential oils. 

For a classroom, our Menthol Crystals can be a multi-purpose powerhouse. These all-natural crystals are colorless and clear and are a natural by-product of steam-distilled peppermint essential oil. 

Peppermint is one of the top essential oils known to improve focus and concentration. The scent is an invigorating one that will stimulate the young minds in your classroom, allowing them a chance to better focus on and retain the day’s lesson. 

An added bonus of our Menthol Crystals: they can be used to deodorize your room! You can easily freshen the air after the students return from an extra active recess or P.E. class. 

Data records, kept here for reference:
# AlSi4Ni2

A relaxed AlSi4Ni2 crystal (PBE, Alexandria via LeMat-Bulk).

The space group is P-3m1 (No. 164) and the conventional cell measures 3.7531, 3.7531 and 19.6974 Å, with angles of 90.00, 90.00 and 120.00 degrees. The asymmetric unit holds Al at (0.3333, 0.6667, 0.3925), Si at (0.3333, 0.6667, 0.0386), Si at (0.3333, 0.6667, 0.2664), Si at (0.3333, 0.6667, 0.5340), Si at (0.3333, 0.6667, 0.8038), Ni at (0.0000, 0.0000, 0.2322) and Ni at (0.3333, 0.6667, 0.9203).

Its crystal system is trigonal. The value obtained for the total moment is 0.0 μB/cell. Its calculated volume is 240.3 Å³/cell. The calculation puts the uncorrected formation energy at 0.270 eV/f.u. Its excess energy over the best structure of this formula in the dataset is 1.65 eV/f.u. The electronic total energy is -0.193 hartree per atom.


Back to school brings new friends, new things to learn, and, unfortunately, new germs! While you’re gearing up for the routine of back to school, make sure you’re giving your student (and your home!) the best possible immunity boost. 

With just some basic ingredients like vinegar, baking soda, and, of course, your favorite essential oil, you can make your own natural, all-purpose cleaners very easily. (Eucalyptus, Tea Tree, and Lemon are some of our favorite oils for cleaning.) With our recipes, you can quickly clean your windows, toilets, and countertops to keep a germ-free house despite your busy schedule. 

Using essential oils in your cleaning can help keep germs at bay and break down grease and grime. An added benefit is the lovely scent that these plant-based oils release throughout your home. 


With the summer behind you, it’s now time to dive in and do your best work — whether that’s in the classroom or on the sports field. You’ll be studying hard, pushing your body, and finding rest when you can. For many students, essential oils can be your go-to tool for being your best. 

To prepare for your day, choose something with a citrus twist in the mornings. Orange, grapefruit, lemon, and lime are energizing scents that will improve your ability to focus. Whether your day starts with a history quiz or a group assignment, you can walk into the classroom ready to master the material. 

After a hard practice, your muscles will benefit from the cooling relief of Peppermint. Our Mint-Infused Pure Eucalyptus ShowerMist will transform your basic shower into a spa-like steam room and give your muscles the rest they need. After running a hot shower, simply spritz a few sprays of the ShowerMist into the steam and away from the face. Younger students can feel lighter effects by spraying the edge of their tub while soaking. If you need added relief for those sore muscles, try our recipe here for a homemade muscle rub.

Whether you’re a teacher, parent, or student, essential oils can be one of the most “essential” back to school items on your list. Which one of these ideas will you try this school year? Let us know in the comments!

EXTRA CREDIT: Once you find a EuroSpa Aromatics essential oil product that works wonders for you, consider joining our subscription service. Enjoy the ongoing benefits without the need to remember to reorder. Find a package here that best suits your preferred product size and delivery timeframe.

Natural Menstrual Pain Relief

Natural Menstrual Pain Relief

For many women, the pain that comes along with their menstrual cycle can be truly debilitating. Sometimes it feels like there isn’t much that will work to relieve some of that pain other than strong painkillers, but there are some natural options that have proven to be helpful for many. Essential oils and other natural practices can be game-changing!

Here are a few natural options for natural menstrual pain relief:

Lavender Oil
When you have your monthly period, the uterus and surrounding blood vessels become inflamed, which can cause quite a bit of pain. Instead of powering through it or popping some pills one after another, lavender oil can help to take the edge off. Lavender is known for its calming properties, both on the mind and the muscles. Run a hot shower and use our Lavender-Infused 100% Pure Eucalyptus ShowerMist to make this happen!

Applying Heat
Sometimes the most simple of remedies can have the biggest impact! Applying heat will help your muscles to relax and therefore help with cramps. You can do this by using an inexpensive heating pad from your local drugstore or soaking in a hot bath. Take this time to relax and take your mind off the discomfort that you’re feeling.

Peppermint Oil
Fluctuating hormones during your monthly cycle can cause headaches, nausea, and fatigue, but peppermint oil can help alleviate those symptoms! Peppermint oil can be used in a variety of ways to get relief from these symptoms, but one of our favorite methods is using our Mint-Infused 100% Pure Eucalyptus ShowerMist. Run a hot shower and spritz a few sprays into the steam and away from your face. Breathing in those amazing benefits and relaxing in the hot shower will be sure to help.

Healthy Diet and Hydration
You might be rolling your eyes, but it’s true! Being vigilant about eating a diet rich in omega-3 fatty acids, fruits, vegetables, nuts, lean proteins, and whole grains will help you stay healthy. When your body isn’t healthy, any pain or other issues will feel magnified. Hydration is also key. Dehydration can cause muscle cramps, which will make cramps feel even worse. Make sure your drinking that water — it makes a huge difference!

What are some of your favorite tried and true options for natural menstrual pain relief? Let us know in the comments!

Why Your Steam Room Should Diffuse Eucalyptus Oil this Winter

Why Your Steam Room Should Diffuse Eucalyptus Oil this Winter

What comes next are materials data, not part of the entry >
<<<
#A
Compound: TbDy9Y2
Source: Alexandria via LeMat-Bulk
Functional: GGA-PBE
Structure: optimized geometry

Cell lengths 11.2303, 11.2303, 3.4870 Å; angles 90.00, 90.00, 120.00 degrees
Closest atoms and distances in Å follow each position.
Space group P6/mmm (No. 191)
Unique sites:
Tb1 0.0000 0.0000 0.0000 [1 per cell]  2 Tb 3.49, 12 Dy 3.84
Dy1 0.0000 0.5000 0.0000 [3 per cell]  2 Y 3.24, 10 Dy 3.49-3.61
Dy2 0.1757 0.3513 0.5000 [6 per cell]  8 Dy 3.42-3.61, 2 Y 3.53
Y1 0.3333 0.6667 0.0000 [2 per cell]  9 Dy 3.24-3.53, 2 Y 3.49

Properties
- Mass density: 7.845 g/cm3

***

#B
Compound: TbDy9Y2
Source: Alexandria via LeMat-Bulk
Functional: GGA-PBE
Structure: optimized geometry

Cell lengths 5.0210, 5.0210, 15.0642 Å; angles 90.00, 90.00, 90.00 degrees
Closest atoms and distances in Å follow each position.
Space group P4/mmm (No. 123)
Unique sites:
Tb1 0.0000 0.0000 0.0000 [1 per cell]  12 Dy 3.55
Dy1 0.0000 0.5000 0.1662 [4 per cell]  2 Tb 3.55, 8 Dy 3.55-3.56, 2 Y 3.55
Dy2 0.0000 0.5000 0.5000 [2 per cell]  8 Dy 3.55, 4 Y 3.55
Dy3 0.5000 0.5000 0.0000 [1 per cell]  8 Dy 3.55, 4 Tb 3.55
Dy4 0.5000 0.5000 0.3333 [2 per cell]  4 Y 3.55, 8 Dy 3.55-3.56
Y1 0.0000 0.0000 0.3332 [2 per cell]  12 Dy 3.55

Properties
- Mass density: 7.867 g/cm3

***

Best to worst by energy: #B, #A.

***

#A
Compound: TbDy6Y4
Source: Alexandria via LeMat-Bulk
Functional: GGA-PBE
Structure: optimized geometry

Cell lengths 6.5644, 6.5644, 17.1235 Å; angles 90.00, 90.00, 90.00 degrees
Closest atoms and distances in Å follow each position.
Space group I-42m (No. 121)
Unique sites:
Tb1 0.0000 0.0000 0.0000 [2 per cell]  8 Dy 3.28-3.40
Dy1 0.0000 0.5000 0.0000 [4 per cell]  2 Tb 3.28, 4 Y 3.32
Dy2 0.1855 0.1855 0.1712 [8 per cell]  5 Y 3.35-3.50, 1 Tb 3.40, 1 Dy 3.44
Y1 0.1796 0.1796 0.3667 [8 per cell]  7 Dy 3.32-3.50, 1 Y 3.33

Properties
- Mass density: 6.704 g/cm3

***

#B
Compound: TbDy6Y4
Source: Alexandria via LeMat-Bulk
Functional: GGA-PBE
Structure: optimized geometry

Cell lengths 6.5433, 6.5433, 17.1118 Å; angles 90.00, 90.00, 90.00 degrees
Closest atoms and distances in Å follow each position.
Space group I-42m (No. 121)
Unique sites:
Tb1 0.0000 0.0000 0.0000 [2 per cell]  4 Dy 3.27, 4 Y 3.45
Dy1 0.0000 0.5000 0.0000 [4 per cell]  2 Tb 3.27, 4 Dy 3.28
Dy2 0.1787 0.1787 0.6299 [8 per cell]  3 Dy 3.28-3.31, 5 Y 3.35-3.52
Y1 0.1869 0.1869 0.8257 [8 per cell]  5 Dy 3.35-3.52, 1 Tb 3.45, 1 Y 3.46

Properties
- Mass density: 6.752 g/cm3

***

Best to worst by energy: #B, #A.

***

#A
Compound: TbDy3Y
Source: Alexandria via LeMat-Bulk
Functional: GGA-PBE
Structure: optimized geometry

Cell lengths 3.6070, 16.6830, 11.5361 Å; angles 90.00, 90.00, 90.00 degrees
Closest atoms and distances in Å follow each position.
Space group Cmcm (No. 63)
Unique sites:
Tb1 0.0000 0.1792 0.2500 [4 per cell]  6 Dy 3.20-3.43, 2 Y 3.39
Dy1 0.0000 0.1621 0.7500 [4 per cell]  2 Tb 3.20, 2 Y 3.35, 4 Dy 3.40
Dy2 0.0000 0.3472 0.0000 [8 per cell]  6 Dy 3.40-3.71, 2 Tb 3.43, 1 Y 3.77
>>>

Winter is a wonderful time of year. The air feels crisp, the holiday season is around the corner, and (depending on where you live) you might even have a beautiful blanket of snow outside! One downside of the winter season, though, is that cold and flu viruses are being passed around like wildfire. As a spa owner/operator, you can be proactive against these germs by diffusing eucalyptus oil in your steam room or sauna. Not only will the refreshing scent be pleasing to your clients, but they’ll love the benefits too.

Here are just a few reasons why you should diffuse eucalyptus oil in your steam room this winter:

It is antiseptic, antibacterial, and antiviral
Cold and flu season is a great time to diffuse eucalyptus because of its healing properties. In a season where it feels like everyone is sick (or at least has the sniffles), eucalyptus can help prevent sickness as well as help those who have fallen under the weather.

It helps get rid of sinus inflammation
Congestion is a thing of the past when using eucalyptus! Combined with the moisture of the steam room, eucalyptus is a powerhouse when it comes to sinus congestion. It is proven to decongest and reduce inflammation. Try our Menthol-Infused Eucalyptus ShowerMist for a clean, crisp, and minty steam room experience, while also getting all the health benefits.

It is refreshing and energizing
The scent of eucalyptus is variously described as woody-sweet, cooling, refreshing, energizing, fresh, pleasing and revitalizing. In a time of year where many people feel cooped up and tend to have low energy, using a scent that feels refreshing can make your guests feel the same way!

Eucalyptus is a hardworking plant, that’s for certain. We especially love eucalyptus for its natural antibacterial, antiviral, antiseptic, exhilarating, decongestant, and expectorant properties. You can fall in love with eucalyptus, too! Try our aromatherapy diffuser set, our invigorating 100% Pure Eucalyptus Oil ShowerMist, or our 100% pure eucalyptus oil today!

5 Ways to Use Our Eucalyptus ShowerMists in Your Home

5 Ways to Use Our Eucalyptus ShowerMists in Your Home

Our ShowerMists are a fan favorite for relaxing, invigorating showers and baths. After all, nothing beats hot steam and aromatherapy! But that’s not all they can be used for. In fact, today we’re sharing five more ideas to help you make the most of your bottle all around your home.

Grab your ShowerMist and get to spritzing in the kitchen, bedroom, mudroom, and more!

Deodorize Sneakers in the Mudroom

At the end of a long school day, give those tired feet a rest! Have your kids kick off their shoes, then spritz a few pumps of Tea Tree-Infused Eucalyptus ShowerMist into the soles to kill any lingering sweat and bacteria that was picked up on the playground. Let the shoes air out overnight before wearing again in the morning.

Freshen Up Your Kitchen

No one likes a stinky kitchen! A few quick sprays of our Citrus-Infused Eucalyptus ShowerMist can help keep trash can and garbage disposal odors at bay. Simply spritz a little down the drain or in the bin before you place a new trash bag inside. Want another boost of freshness? Peel any overripe, mushy citrus fruits you have laying around, toss a few small pieces into the disposal, and grind up while running some water.

Get a Great Night’s Sleep

Do racing thoughts have you struggling to fall asleep? Hold our Lavender-Infused Eucalyptus ShowerMist a few feet away from your bed and lightly spritz your pillows and sheets for a soothing scent that’ll help you wind down. The natural sedative properties of Lavender will have you counting sheep in no time! Bonus: it works for kids too!

Increase Focus in the Study Nook

Did you know that the zing of peppermint isn’t just a great way to freshen your breath, but can help you wake up, too? Spray some Mint-Infused Eucalyptus ShowerMist around the table while studying, reading, or working on the computer to encourage focus and feelings of alertness. If you’re also looking to ease stress, anxiety, and nervousness while you’re studying, try using our Menthol Crystals and Warmer. Keep working hard and ace that test!

Keep the Laundry Room Free of Mildew

Prevent mildew or musty smells by spritzing your dirty laundry hampers with your favorite ShowerMist. You can also spray a little on towels between uses for a clean, refreshing scent. This also works great for keeping road trip laundry bags fresh or when you’ll be drying a lot of towels and bathing suits in your hotel room.

Do you own one of our ShowerMists?
Which scent is your favorite and how do you like to use it?

3 Benefits of Tea Tree Oil

3 Benefits of Tea Tree Oil

Tea Tree Oil is a beloved essential oil in the natural health community. Not only does it delight the senses with an invigorating scent, but it has so many other amazing uses! Here are three of our favorite things about tea tree oil:

Tea Tree Oil is a great natural sanitizer.

Because of its sanitization properties, tea tree oil is used in many natural cleaner recipes. It can even discourage mold from growing. Spritz a little in your shower for a clean, fresh scent and peace of mind.

Tea Tree Oil can help reduce acne.

Tea tree oil can be used as a natural alternative to harsh acne cleansers and is just as effective as benzoyl peroxide. Mix a few drops of the oil with two teaspoons of raw honey to create your own face wash. Just remember to rinse with water!

Tea Tree Oil is great for the scalp.

Do you suffer from dandruff or a dry, itchy scalp? Tea tree oil is a great remedy and won’t cause excessive drying! Mix a few drops with some coconut milk (add a little lavender oil for a sweet scent) and massage it in while taking a shower.

Tea Tree and Eucalyptus Oil are a tough allergen-fighting pair.

Both oils act as a decongestant and can help clear stuffy sinuses. When used together they can reduce inflammation, ease pain, and boost immunity. This shower spray will have you feeling better in minutes.

How do you use Tea Tree Oil? Share your ideas and recipes in the comments below.